-- What to do --
Please repeat all of the notes further below without altering anything.
-- Source --
____________
Sm3Os | PBE | relaxed

The structure in CIF format:
```
data_Sm3Os
_chemical_formula_sum 'Sm24 Os8'
_cell_length_a 11.7904
_cell_length_b 11.7904
_cell_length_c 6.3921
_cell_angle_alpha 90.00
_cell_angle_beta 90.00
_cell_angle_gamma 90.00
_symmetry_space_group_name_H-M 'P 42/n'
_symmetry_Int_Tables_number 86
loop_
_symmetry_equiv_pos_as_xyz
'x,y,z'
'-x,-y,-z'
'-y,x+1/2,z+1/2'
'y,-x+1/2,-z+1/2'
'-x+1/2,-y+1/2,z'
'x+1/2,y+1/2,-z'
'y+1/2,-x,z+1/2'
'-y+1/2,x,-z+1/2'
loop_
_atom_site_label
_atom_site_fract_x
_atom_site_fract_y
_atom_site_fract_z
Sm1 0.0310 0.9051 0.1978
Sm2 0.1137 0.8334 0.6938
Sm3 0.1190 0.3060 0.0234
Os1 0.0504 0.3123 0.5142
```

Energy relative to the elements ... -26.7 kJ/mol of formula units
Total magnetization ... 0.00 Bohr magnetons per cell
____________
-- Response --
Sm3Os | PBE | relaxed

The structure in CIF format:
```
data_Sm3Os
_chemical_formula_sum 'Sm24 Os8'
_cell_length_a 11.7904
_cell_length_b 11.7904
_cell_length_c 6.3921
_cell_angle_alpha 90.00
_cell_angle_beta 90.00
_cell_angle_gamma 90.00
_symmetry_space_group_name_H-M 'P 42/n'
_symmetry_Int_Tables_number 86
loop_
_symmetry_equiv_pos_as_xyz
'x,y,z'
'-x,-y,-z'
'-y,x+1/2,z+1/2'
'y,-x+1/2,-z+1/2'
'-x+1/2,-y+1/2,z'
'x+1/2,y+1/2,-z'
'y+1/2,-x,z+1/2'
'-y+1/2,x,-z+1/2'
loop_
_atom_site_label
_atom_site_fract_x
_atom_site_fract_y
_atom_site_fract_z
Sm1 0.0310 0.9051 0.1978
Sm2 0.1137 0.8334 0.6938
Sm3 0.1190 0.3060 0.0234
Os1 0.0504 0.3123 0.5142
```

Energy relative to the elements ... -26.7 kJ/mol of formula units
Total magnetization ... 0.00 Bohr magnetons per cell